Noise generated by a single charge carrier
Shot noise can be observed in variety of materials, devices and systems. Let us consider one of the simplest examples from physics: noise generated by trapping and detrapping of a single charge carrier.
Telegraph signal
Let us postulate that if a charge carrier is free, then a flow of current is observed. Likewise, if the charge carrier is trapped, then the flow stops. Thus we are observing a signal with non-overlapping rectangular pulses (as shown in the figure below). Note that such signal is reminiscent of a telegraph signal.

The term trapping time is used for the time the charge carrier spends free (as it describes the time it takes for the charge carrier to be trapped). We use symbol \( \theta \) to denote it. The symbol \( \tau \) is used to denote the time it takes the charge carrier to escape. Effectively this means that charge carrier is detrapped, and thus the term detrapping time is used.
Poissonian random telegraph noise
As we have seen before simplest physical assumption would be that the escape probability is uniform in time (namely, that there are no ageing effects. This leads to a mathematical assumption that trapping and detrapping times follow exponential distribution with respective parameters \( \lambda_\theta \) (trapping rate) and \( \lambda_\tau \) (detrapping rate).
Derivation of the spectral density is a bit more involved than for the Poisson point process, but follows exactly the same trail of complex algebra. The general result (e.g., obtained in [1]) is
\begin{equation} S\left(f\right)=\frac{a^{2}\bar{\nu}}{\pi^{2}f^{2}}\mathrm{Re}\left[\frac{\left(1-\chi_{\theta}\left(f\right)\right)\left(1-\chi_{\tau}\left(f\right)\right)}{1-\chi_{\theta}\left(f\right)\chi_{\tau}\left(f\right)}\right], \end{equation}
with \( \chi_\theta(f) \) and \( \chi_\tau(f) \) standing for the characteristic functions of trapping and detrapping time distributions. As for the exponential distribution (with rate \( \lambda \)) we have
[Attached: calculated crystals]
____________
[1]
Computed X-ray diffraction stick pattern
Compound: Tc2O7
Radiation: CuKα
Structure: a PBE-relaxed structure

Top 10 peaks for 2θ from 10° to 90°, in order of rising 2θ:
2θ = 12.33°, I = 8, hkl 0 2 0
2θ = 19.66°, I = 11, hkl 1 1 1
2θ = 22.43°, I = 100, hkl 0 0 2
2θ = 24.82°, I = 14, hkl 0 4 0
2θ = 31.22°, I = 8, hkl 1 4 1
2θ = 37.83°, I = 6, hkl 1 1 3
2θ = 39.32°, I = 6, hkl 2 4 0
2θ = 39.42°, I = 9, hkl 1 2 3
2θ = 54.68°, I = 5, hkl 1 8 1
2θ = 62.02°, I = 6, hkl 1 2 5

Cell and atoms:
Lattice parameters (Å, degrees): 5.9558 14.3515 7.9119 90.00 90.00 90.00
Space group Pbca (No. 61)
Symmetry-distinct sites (fractional):
Tc1 0.1913 0.1032 0.0136
O1 0.0000 0.0000 0.0000
O2 0.0549 0.2033 0.9592
O3 0.0884 0.5867 0.8777
O4 0.2042 0.6144 0.2141



[2]
Computed X-ray diffraction stick pattern
Compound: ErMg8Pt2
Radiation: CuKα
Structure: a PBE-relaxed structure

Top 10 peaks for 2θ from 10° to 90°, in order of rising 2θ:
2θ = 19.93°, I = 58, hkl 1 1 -1
2θ = 22.35°, I = 87, hkl 2 0 0
2θ = 22.93°, I = 94, hkl 0 2 1
2θ = 24.12°, I = 38, hkl 1 1 1
2θ = 24.68°, I = 100, hkl 1 3 0
2θ = 29.15°, I = 37, hkl 2 2 -1
2θ = 35.07°, I = 37, hkl 2 2 1
2θ = 35.61°, I = 38, hkl 0 0 2
2θ = 40.68°, I = 47, hkl 3 3 0
2θ = 41.71°, I = 39, hkl 1 5 -1

Cell and atoms:
Lattice parameters (Å, degrees): 8.1777 12.1406 5.1830 90.00 103.39 90.00
Space group C2/m (No. 12)
Symmetry-distinct sites (fractional):
Er1 0.0000 0.0000 0.0000
Mg1 0.0000 0.2669 0.0000
Mg2 0.0926 0.5000 0.7773
Mg3 0.1976 0.1300 0.5758
Pt1 0.0000 0.3104 0.5000



[3]
Computed X-ray diffraction stick pattern
Compound: PmEr2ZrSc4
Radiation: CuKα
Structure: a PBE-relaxed structure

Top 10 peaks for 2θ from 10° to 90°, in order of rising 2θ:
2θ = 19.01°, I = 25, hkl 0 0 2
2θ = 26.39°, I = 23, hkl 1 1 0
2θ = 32.73°, I = 100, hkl 1 1 2
2θ = 37.66°, I = 34, hkl 2 0 0
2θ = 38.57°, I = 16, hkl 0 0 4
2θ = 42.52°, I = 14, hkl 2 0 2
2θ = 55.01°, I = 22, hkl 2 0 4
2θ = 64.82°, I = 13, hkl 3 1 2
2θ = 64.94°, I = 13, hkl 1 3 2
2θ = 66.11°, I = 12, hkl 1 1 6

Cell and atoms:
Lattice parameters (Å, degrees): 4.7822 4.7710 9.3367 90.00 90.05 90.00
Space group P2/m (No. 10)
Symmetry-distinct sites (fractional):
Pm1 0.0000 0.0000 0.0000
Er1 0.0000 0.0000 0.5000
Er2 0.5000 0.5000 0.0000
Zr1 0.5000 0.5000 0.5000
Sc1 0.0000 0.5000 0.2625
Sc2 0.4999 0.0000 0.2625



[4]
Computed X-ray diffraction stick pattern
Compound: Nd3P2
Radiation: CuKα
Structure: a PBE-relaxed structure

Top 10 peaks for 2θ from 10° to 90°, in order of rising 2θ:
2θ = 25.16°, I = 11, hkl 1 1 0
2θ = 26.45°, I = 20, hkl 0 0 6
2θ = 28.48°, I = 100, hkl 1 1 3
2θ = 36.82°, I = 27, hkl 1 1 6
2θ = 44.32°, I = 26, hkl 3 0 0
2θ = 47.96°, I = 24, hkl 1 1 9
2θ = 52.35°, I = 18, hkl 3 0 6
2θ = 53.53°, I = 17, hkl 2 2 3
2θ = 71.95°, I = 14, hkl 4 1 3
2θ = 72.73°, I = 12, hkl 3 0 12

Cell and atoms:
Lattice parameters (Å, degrees): 7.0800 7.0800 20.2206 90.00 90.00 120.00
Space group R-3c (No. 167, hexagonal axes)
Symmetry-distinct sites (fractional):
____________
\begin{equation} \chi(f) = \frac{\lambda}{\lambda - 2 \pi \mathrm{i} f} , \end{equation}
The article is interrupted by crystal structures >
........
(1)
Starting from a structure optimized by DFT (PBE+U), the X-ray powder pattern of SrMoAsH3O8 was computed for CuKα.
No peak broadening, texture or thermal motion is included.

Atomic structure:
```
data_SrMoAsH3O8
_chemical_formula_sum 'Sr8 Mo8 As8 H24 O64'
_cell_length_a 15.6344
_cell_length_b 10.4062
_cell_length_c 9.9170
_cell_angle_alpha 90.00
_cell_angle_beta 120.78
_cell_angle_gamma 90.00
_symmetry_space_group_name_H-M 'C 1 2/c 1'
_symmetry_Int_Tables_number 15
loop_
_symmetry_equiv_pos_as_xyz
'x,y,z'
'-x,-y,-z'
'-x,y,-z+1/2'
'x,-y,z+1/2'
'x+1/2,y+1/2,z'
'-x+1/2,-y+1/2,-z'
'-x+1/2,y+1/2,-z+1/2'
'x+1/2,-y+1/2,z+1/2'
loop_
_atom_site_label
_atom_site_fract_x
_atom_site_fract_y
_atom_site_fract_z
Sr1 0.0899 0.2297 0.1253
Mo1 0.1521 0.4080 0.7720
As1 0.1880 0.0824 0.8228
H1 0.0163 0.1157 0.6790
H2 0.1248 0.2634 0.4725
H3 0.1355 0.1140 0.4643
O1 0.0591 0.3669 0.5788
O2 0.0605 0.0612 0.6623
O3 0.0970 0.1890 0.4026
O4 0.1129 0.3332 0.8926
O5 0.1343 0.4260 0.2865
O6 0.1845 0.0719 0.9916
O7 0.2284 0.2199 0.7801
O8 0.2349 0.0556 0.2924
```

Top 10 peaks for 2θ = 10–80°, by intensity:
d/Å, Position (°2θ), I_rel, (hkl)
3.721, 23.9, 100.0, 4 0 -2
2.887, 31.0, 96.4, 3 3 -1
2.992, 29.9, 91.9, 1 1 -3
4.260, 20.9, 73.7, 0 0 2
3.271, 27.3, 70.4, 1 3 -1
7.141, 12.4, 56.8, 1 1 -1
4.113, 21.6, 36.6, 2 2 0
1.854, 49.1, 36.3, 7 3 -3
3.358, 26.5, 35.3, 4 0 0
6.716, 13.2, 33.6, 2 0 0

---

(2)
Starting from a structure optimized by DFT (PBE+U), the X-ray powder pattern of U2NiAs2H24O24 was computed for CuKα.
No peak broadening, texture or thermal motion is included.

Atomic structure:
```
data_U2NiAs2H24O24
_chemical_formula_sum 'U2 Ni1 As2 H24 O24'
_cell_length_a 7.2367
_cell_length_b 7.2372
_cell_length_c 11.3188
_cell_angle_alpha 82.13
_cell_angle_beta 80.29
_cell_angle_gamma 88.63
_symmetry_space_group_name_H-M 'P -1'
_symmetry_Int_Tables_number 2
loop_
_symmetry_equiv_pos_as_xyz
'x,y,z'
'-x,-y,-z'
loop_
_atom_site_label
_atom_site_fract_x
_atom_site_fract_y
_atom_site_fract_z
U1 0.2283 0.2343 0.0823
Ni1 0.0000 0.5000 0.5000
As1 0.2534 0.7489 0.0011
H1 0.0686 0.2437 0.6851
H2 0.0721 0.6101 0.2492
H3 0.1665 0.9581 0.7732
H4 0.1834 0.2548 0.3877
H5 0.1825 0.9611 0.6339
H6 0.2529 0.6325 0.6119
H7 0.2810 0.7373 0.4786
H8 0.3454 0.3761 0.4068
H9 0.3766 0.8538 0.2729
H10 0.4344 0.1310 0.6757
H11 0.4436 0.6068 0.7671
H12 0.4686 0.4240 0.7008
O1 0.0123 0.6449 0.3278
O2 0.0878 0.8043 0.9090
O3 0.1809 0.1872 0.2474
O4 0.1827 0.6961 0.5492
O5 0.1921 0.5479 0.0992
O6 0.2064 0.0379 0.6948
O7 0.2205 0.3255 0.4489
O8 0.2688 0.9208 0.0892
O9 0.2722 0.2767 0.9180
O10 0.4456 0.5611 0.6887
O11 0.4468 0.7967 0.3352
O12 0.4612 0.7248 0.9052
```

Top 10 peaks for 2θ = 10–80°, by intensity:
d/Å, Position (°2θ), I_rel, (hkl)
3.578, 24.9, 100.0, 2 0 1
3.560, 25.0, 83.8, 0 2 1
5.527, 16.0, 61.8, 0 0 2
4.694, 18.9, 49.9, 0 1 2
5.676, 15.6, 44.7, 0 1 -1
5.057, 17.5, 42.4, 1 1 0
4.053, 21.9, 42.2, 1 0 -2
2.528, 35.5, 39.7, 2 -2 0
3.112, 28.7, 36.4, 0 1 -3
3.523, 25.3, 33.8, 1 0 3

---
........
So much for the crystal structures >
the spectral density will have Lorentzian shape:
\begin{equation} S\left(f\right)=\frac{4a^{2}\bar{\nu}}{\left(\lambda_{\theta}+\lambda_{\tau}\right)^{2}+4\pi^{2}f^{2}}. \end{equation}
Namely, for low frequencies (lower than \( \left(\frac{\lambda_\theta + \lambda_\tau}{2 \pi}\right)^2 \)) the spectral density will be flat, while for higher frequencies \( S(f) \) will decay as \( 1/f^2 \). There will be a very narrow region of frequencies where the switch between the white noise and Brownian-like noise occurs.
Interactive app
Let us verify the analytical result by doing numerical simulation. The numerical results are shown as red curves (series in the top plot, and spectral density in the bottom plot) and theoretical curve is plotted in black (present only in the bottom plot). Note that as you change the rates the frequency at which the transition occurs changes, but the effect is symmetric (namely, for the spectral density plot it doesn't matter which rate you change).
Note: The app was recently updated with an additional parameter \( N_{success} \). It will be discussed in a forthcoming post (the link will be added after that post is published). When exploring the app in the context of this post simply keep the default \( N_{success} = 1 \).
- A. Kononovicius, B. Kaulakys. 1/f noise from the sequence of nonoverlapping rectangular pulses. Physical Review E 107: 034117 (2023). doi: 10.1103/PhysRevE.107.034117. arXiv:2210.11792 [cond-mat.stat-mech].